_File_
┌──
(1)
99
Properties=species:S:1:pos:R:3 method="wB97M-V/def2-TZVPD" homo_ha=-0.3311 charge=0 orbital_gap_ev=8.25 max_force_ha_per_bohr=0.0836 smiles="CCOB(O)C1=CC(=O)C(OC[C@@H](C)O)=CC1=O.c1ccncc1.c1ccncc1.c1ccncc1.c1ccncc1.c1ccncc1.c1ccncc1"
C 2.652 3.304 1.125
C 1.118 3.742 1.084
O 0.885 5.154 1.346
B -0.342 5.611 0.761
O -0.319 6.935 0.142
C -1.741 4.799 0.744
C -2.761 4.995 -0.239
C -4.105 4.108 -0.174
O -5.217 4.572 -0.513
C -3.907 2.600 0.357
O -4.760 1.618 -0.181
C -4.163 0.304 -0.158
C -4.521 -0.548 1.183
C -3.252 -1.425 1.689
O -4.979 0.273 2.281
C -2.918 2.420 1.344
C -2.097 3.672 1.844
O -1.710 3.764 3.028
H 3.168 3.399 0.116
H 2.705 2.198 1.438
H 3.185 3.904 1.929
H 0.584 3.161 1.930
H 0.576 3.408 0.121
H -0.166 6.723 -0.812
H -2.642 5.783 -1.066
H -4.640 -0.295 -1.017
H -3.035 0.286 -0.308
H -5.362 -1.307 0.977
H -3.282 -2.478 1.224
H -3.343 -1.594 2.824
H -2.263 -0.940 1.389
H -4.224 0.405 2.903
H -2.710 1.396 1.778
N 0.771 -0.663 1.178
C 1.346 -0.901 -0.012
C 2.548 -1.572 -0.167
C 3.198 -2.024 0.973
C 2.628 -1.792 2.215
C 1.421 -1.113 2.264
H 0.801 -0.525 -0.873
H 2.965 -1.739 -1.152
H 4.141 -2.553 0.893
H 3.109 -2.130 3.125
H 0.932 -0.910 3.211
N 5.495 4.642 2.812
C 6.594 5.345 2.501
C 7.263 6.166 3.395
C 6.767 6.272 4.686
C 5.631 5.556 5.034
C 5.037 4.760 4.068
H 6.941 5.233 1.479
H 8.148 6.709 3.089
H 7.262 6.905 5.415
H 5.216 5.615 6.033
H 4.148 4.179 4.293
N 3.421 -5.238 -0.664
C 2.118 -5.246 -0.334
C 1.252 -6.284 -0.641
C 1.755 -7.376 -1.331
C 3.096 -7.393 -1.685
C 3.881 -6.309 -1.329
H 1.771 -4.368 0.202
H 0.211 -6.238 -0.348
H 1.108 -8.207 -1.590
H 3.522 -8.230 -2.225
H 4.936 -6.278 -1.581
N -1.301 -4.628 3.497
C -0.790 -5.381 2.510
C -1.118 -6.712 2.307
C -2.024 -7.305 3.174
C -2.566 -6.550 4.203
C -2.177 -5.225 4.320
H -0.083 -4.874 1.861
H -0.676 -7.272 1.492
H -2.305 -8.344 3.049
H -3.276 -6.980 4.899
H -2.576 -4.593 5.106
N -3.194 -1.315 -3.047
C -4.305 -1.638 -3.729
C -4.347 -1.788 -5.106
C -3.177 -1.591 -5.824
C -2.016 -1.255 -5.143
C -2.076 -1.132 -3.766
H -5.195 -1.778 -3.124
H -5.272 -2.053 -5.604
H -3.169 -1.697 -6.904
H -1.084 -1.092 -5.671
H -1.194 -0.874 -3.189
N -0.192 2.866 -3.612
C -1.299 2.545 -4.300
C -1.336 2.399 -5.678
C -0.163 2.599 -6.391
C 0.996 2.934 -5.705
C 0.930 3.052 -4.326
H -2.191 2.402 -3.699
H -2.259 2.136 -6.180
H -0.152 2.496 -7.470
H 1.929 3.098 -6.229
H 1.810 3.308 -3.745


(2)
100
Properties=species:S:1:pos:R:3 method="wB97M-V/def2-TZVPD" homo_ha=-0.3812 charge=+1 orbital_gap_ev=8.09 max_force_ha_per_bohr=0.1472 e_above_lowest_kj_mol=83.9
C -0.141 -0.178 1.499
C -1.275 -0.426 0.521
N -1.234 0.497 -0.653
C -2.141 1.633 -0.835
C -1.800 2.198 -2.010
N -0.816 1.345 -2.596
C -0.615 0.234 -1.744
C -0.364 1.394 -3.982
H -0.356 -0.433 2.428
H 0.222 0.730 1.425
H 0.798 -0.782 1.300
H -2.313 0.058 0.943
H -1.489 -1.541 0.353
H -2.767 1.787 -0.067
H -2.350 3.002 -2.360
H 0.285 -0.345 -1.949
H -0.635 0.502 -4.731
H 0.718 1.184 -3.854
H -0.493 2.395 -4.302
N -0.690 2.422 4.727
C -1.035 2.977 3.500
C -2.148 2.602 2.784
C -2.920 1.576 3.310
C -2.524 0.875 4.530
C -1.393 1.386 5.120
H -0.428 3.793 3.157
H -2.316 3.205 2.031
H -3.862 1.244 2.775
H -3.192 -0.127 4.869
H -1.148 0.843 6.105
C 1.400 4.383 -1.948
C 0.471 4.535 -0.771
C -0.840 4.989 -1.104
C -1.031 5.524 -2.354
C -0.006 5.509 -3.373
C 1.297 4.939 -3.251
O 2.287 4.908 -4.094
O -1.751 5.026 -0.155
H 2.429 3.997 -1.707
H 0.364 4.267 0.415
H -1.967 5.962 -2.605
H -0.223 6.117 -4.317
H 2.073 5.619 -4.743
H -2.310 5.616 -0.446
C -4.713 -1.163 -0.287
C -4.606 -1.789 1.030
C -3.949 -3.096 1.260
C -3.409 -3.683 0.190
C -3.578 -3.206 -1.118
C -4.094 -1.847 -1.407
O -4.076 -1.259 -2.574
O -3.837 -3.592 2.564
H -5.215 -0.209 -0.478
H -4.992 -1.320 1.938
H -2.707 -4.514 0.293
H -3.154 -3.740 -2.004
H -4.736 -0.703 -2.620
H -4.521 -3.152 3.215
C -0.330 -3.346 3.441
C 0.268 -4.377 2.451
C 1.618 -4.817 2.844
C 2.287 -4.116 3.865
C 1.581 -3.088 4.613
C 0.303 -2.690 4.485
O -0.169 -1.780 5.306
O 2.238 -5.795 2.065
H -1.371 -3.081 3.394
└──
_Brief_
What is needed: filter the calculation results further up: keep the lines with the word "C1".
_Worked solution_
Properties=species:S:1:pos:R:3 method="wB97M-V/def2-TZVPD" homo_ha=-0.3311 charge=0 orbital_gap_ev=8.25 max_force_ha_per_bohr=0.0836 smiles="CCOB(O)C1=CC(=O)C(OC[C@@H](C)O)=CC1=O.c1ccncc1.c1ccncc1.c1ccncc1.c1ccncc1.c1ccncc1.c1ccncc1"